Thursday, June 06, 2013

James Mackintosh and Darwin's Evolutionary Theory of Morality

On June 23rd, the opening lecture for the Mont Pelerin Society conference on evolution in the Galapagos will be by David Kohn, a Professor Emeritus of the History of Science at Drew University, who is well known for his editing and scholarly studies of Darwin's manuscripts and notebooks.  Although I have not yet seen his paper, his title--"The Scottish Enlightenment, Malthus, and Darwin's Theory of Evolution"--suggests that he will emphasize the influence of Malthus in shaping Darwin's formulation of his theory of evolution.

The influence of Darwin's reading of Thomas Malthus's Essay on the Principle of Population is evident in the notebooks that Darwin began writing shortly after he returned from his voyage on the Beagle in 1836.  By the spring of 1837, Darwin had embraced the idea of the transmutation of species, and he came close to formulating the logic of natural selection (Notebooks, 193, 258).  Then, as he began reading Malthus on September 28, 1838, he grasped for the first time the three steps in the process of natural selection, which he associated with "my Malthusian views" (Notebooks, 375, 397-98, 412-13, 429, 436).  First, traits must be passed down by inheritance from parents to offspring.  Second, those inherited traits must be variable.  Third, there must be a struggle for life so that some inherited variations are favored over others. 

In his Autobiography, Darwin described the influence of reading Malthus in the fall of 1838.
"I happened to read for amusement Malthus on Population, and being well prepared to appreciate the struggle for existence which everywhere goes on from long-continued observation of the habits of animals and plants, it at once struck me that under these circumstances favourable variations would tend to be preserved, and unfavourable ones to be destroyed.  The result of this would be the formation of new species.  Here, then, I had at last got a theory by which to work." (120)
But while this shows the influence of Malthus's book on Darwin's theory of the organic evolution of species, which was published in his Origin of Species in 1859, we need to see the influence of another book on Darwin's theory of the moral evolution of human beings, which was published in his Descent of Man in 1871.  That other book was James Mackintosh's The Progress of Ethical Philosophy 

Mackintosh (1765-1832) was born in Scotland and moved to England in 1787, where he became a prominent Whig member of Parliament, a lawyer, a moral philosopher, and a historian of England.  In his Autobiography Darwin remembered that as a young man of 18, he had met Mackintosh and found him to be "the best converser I ever listened to."  Later, Darwin had heard that Mackintosh had told someone,"There is something in that young man that interests me."  Darwin was pleased by this, and he remembered "that I listened with much interest to everything which he said, for I was as ignorant as a pig about his subjects of history, politics, and moral philosophy" (55).

Mackintosh's book on ethical philosophy was published in 1837, just when Darwin was beginning to formulate his theory of evolution, and Darwin read the book avidly, presumably because he wanted to extend his theory to "history, politics, and moral philosophy."  Darwin marked up his copy of Mackintosh's book and wrote up extensive notes on it (Notebooks, 409, 537, 557-56, 563-64, 587-89, 618-29).  Darwin was most interested in Mackintosh's presentation of the moral philosophy of David Hume, Adam Smith, and other writers of the Scottish Enlightenment.  These ideas from the Scottish moral philosophers shaped the account of the moral sense that Darwin would later publish in The Descent of Man in 1871.

Perhaps the most notable feature of Darwin's notes on moral philosophy from Mackintosh's book is that God is never mentioned and human morality is understood as a product of natural human experience rather than divine moral design.

I suggest that Malthus was to Darwin's theory of organic evolution as Mackintosh was to his theory of moral evolution.  In both cases, Darwin was looking for a theory of spontaneous evolution as opposed to a theory of special creation by divine design.  In both cases, God might be seen as the creator of the laws of nature that made both organic evolution and moral evolution possible, but there was no need for special divine intervention to explain the origin of species or the origin of human morality.

Darwin was reluctant to publish his evolutionary theory of the origin of species--he waited 20 years.  But he was even more reluctant to publish his evolutionary theory of the origin of human morality--he waited over 30 years!

Darwin did indicate that religious beliefs could be important influences on moral evolution.  But he also indicated that moral order could stand on its purely natural grounds even without any religious belief in God as the moral lawgiver.

_The article is interrupted by data records_
[1]
Tl3Te6Au: optimized geometry, PBE.

Geometry as CIF:
```
data_Tl3Te6Au
_chemical_formula_sum 'Tl9 Te18 Au3'
_cell_length_a 16.3764
_cell_length_b 16.3764
_cell_length_c 5.5568
_cell_angle_alpha 90.00
_cell_angle_beta 90.00
_cell_angle_gamma 120.00
_symmetry_space_group_name_H-M 'R 3 m'
_symmetry_Int_Tables_number 160
_symmetry_space_group_name_Hall 'R 3 -2"'
loop_
_atom_site_label
_atom_site_type_symbol
_atom_site_fract_x
_atom_site_fract_y
_atom_site_fract_z
_atom_site_occupancy
Tl1 Tl 0.2205 0.4409 0.0000 1
Te1 Te 0.0765 0.5383 0.1278 1
Te2 Te 0.0955 0.1910 0.9596 1
Au1 Au 0.0000 0.0000 0.9767 1
```

Summary:
Size of the total moment: 0.0 μB per formula unit
Raw formation energy: -20.3 meV/atom


[2]
SiGeCl: optimized geometry, PBE.

Geometry as CIF:
```
data_SiGeCl
_chemical_formula_sum 'Si2 Ge2 Cl2'
_cell_length_a 4.0750
_cell_length_b 4.9385
_cell_length_c 8.9593
_cell_angle_alpha 90.00
_cell_angle_beta 90.34
_cell_angle_gamma 90.00
_symmetry_space_group_name_H-M 'P 1 21/m 1'
_symmetry_Int_Tables_number 11
loop_
_symmetry_equiv_pos_as_xyz
'x,y,z'
'-x,-y,-z'
'-x,y+1/2,-z'
'x,-y+1/2,z'
loop_
_atom_site_label
_atom_site_type_symbol
_atom_site_fract_x
_atom_site_fract_y
_atom_site_fract_z
_atom_site_occupancy
Si1 Si 0.2303 0.2500 0.1231 1
Ge1 Ge 0.2679 0.7500 0.0341 1
Cl1 Cl 0.2521 0.2500 0.3539 1
```

Summary:
Size of the total moment: 0.0 μB per formula unit
Polymorph energy (0 for the lowest one): 212.3 meV per atom
Raw formation energy: -239.7 meV/atom

----------

VASP calculation (PBE+U) on Cs2Mg3VF12 after structural relaxation.

a b c (Å): 7.3630 7.3630 18.5192
angles (deg): 90.00 90.00 120.00
Space group R-3m (No. 166, hexagonal axes)
Asymmetric unit:
Cs (0.0000, 0.0000, 0.1088) [6 per cell]
Mg (0.0000, 0.5000, 0.0000) [9 per cell]
V (0.0000, 0.0000, 0.5000) [3 per cell]
F (0.0766, 0.5383, 0.3549) [18 per cell]
F (0.0883, 0.5442, 0.1105) [18 per cell]

Results
Crystal system   trigonal
VASP energy   -281.5 eV/cell

----------

CrCoOs | meta-GGA SCAN | single point on PBEsol structure

## Properties
Space-group type = F-43m (216)
Energy above the most stable polymorph in this dataset = 527 meV/atom
Crystal system = cubic
ρ = 11.7 g/cm3
Formation energy = 670 meV per atom

abc: 3.922 3.922 3.922
angles: 60.00 60.00 60.00
Last column: magnetic moment on the atom in μB.
Sites, in units of the cell vectors:
Cr 0.500 0.500 0.500  2.11
Os 0.250 0.250 0.250  -0.67
Co 0.000 0.000 0.000  -1.55


CrCo2OsW | meta-GGA SCAN | single point on PBEsol structure

## Properties
Space-group type = P4/mmm (123)
Crystal system = tetragonal
ρ = 11.4 g/cm3
Formation energy = 2118 meV per atom

abc: 4.268 4.268 4.367
angles: 90.00 90.00 90.00
Last column: magnetic moment on the atom in μB.
Sites, in units of the cell vectors:
Os 0.500 0.500 0.500  1.37
Cr 0.000 0.000 0.500  2.51
W 0.000 0.000 0.000  -0.48
Co 0.500 0.000 0.000  1.13
Co 0.000 0.500 0.000  1.13


CrCo2P | meta-GGA SCAN | single point on PBEsol structure

## Properties
_Here the article continues_

The possibility of a purely natural morality without religious belief is most clearly stated in Darwin's Autobiography in the section on his religious beliefs.  Darwin explains that while he began in his early life as an orthodox Christian, he gradually turned in the latter half of his life toward "scepticism or rationalism."  He admits that "the mystery of the beginning of all things is insoluble by us," and this leaves an opening for God as the Creator.  But, still, moral life does not require any religious beliefs:
"A man who has no assured and ever present belief in the existence of a personal God or of a future existence with retribution and reward, can have for his rule of life, as far as I can see, only to follow those impulses and instincts which are the strongest or which seem to him the best ones.  A dog acts in this manner, but he does so blindly.  A man, on the other hand, looks forward and backwards, and compares his various feelings, desires and recollections.  He then finds, in accordance with the verdict of the wisest men that the highest satisfaction is derived from following certain impulses, namely the social instincts.  If he acts for the good of others, he will receive the approbation of his fellow men and gain the love of those with whom he lives; and this latter gain undoubtedly is the highest pleasure on this earth.  By degrees it will become intolerable to him to obey his sensuous passions rather than his higher impulses, which when rendered habitual may be almost called instincts.  His reason may occasionally tell him to act in opposition to the opinion of others, whose approbation he will then not receive; but he will still have the solid satisfaction of knowing that he has followed his innermost guide or conscience.--As for myself I believe that I have acted rightly in steadily following and devoting my life to science." (94-95)
That moral order can arise as a largely unintended social order based on natural human experience without divine design is important for Darwin's liberalism, because it means that there is no need to coercively enforce religious beliefs as necessary for social order, which makes possible a liberal pluralist society, in which people having conflicting religious beliefs or even no religious beliefs can live together in peace. 

**Misplaced records of crystals:**
<<<
The following is a DFT calculation (GGA-PBE) of a relaxed Ce6In5Pd12 crystal.

Properties
- formation energy (eV per atom) = -0.726
- crystal system = hexagonal
- calculated volume (Å³/cell) = 956

Geometry as CIF:
```
data_Ce6In5Pd12
_symmetry_space_group_name_H-M 'P 63/m c m'
_symmetry_Int_Tables_number 193
_symmetry_space_group_name_Hall '-P 6c 2'
_cell_length_a 8.2272
_cell_length_b 8.2272
_cell_length_c 16.3045
_cell_angle_alpha 90.00
_cell_angle_beta 90.00
_cell_angle_gamma 120.00
loop_
_atom_site_label
_atom_site_type_symbol
_atom_site_fract_x
_atom_site_fract_y
_atom_site_fract_z
Ce1 Ce 0.0000 0.2772 0.1220
In1 In 0.0000 0.3668 0.7500
In2 In 0.3333 0.6667 0.0000
Pd1 Pd 0.0000 0.0000 0.0000
Pd2 Pd 0.0000 0.0000 0.2500
Pd3 Pd 0.0000 0.3811 0.5717
Pd4 Pd 0.3333 0.6667 0.1667
```

=====

Here is a relaxed structure of Cd3RhO from the Alexandria database. Energies are from GGA-PBE.

Calculated values
**Polymorph energy (0 for the lowest one)**: 695 meV per atom
**E_form (uncorrected)**: 0.656 eV per atom
**Calculated volume**: 26.79 Å³/atom

Structure (extended XYZ):
```
5
Lattice="5.117 0.000 0.000 0.000 5.117 0.000 0.000 0.000 5.117" Properties=species:S:1:pos:R:3 pbc="T T T"
Cd 0.000 0.000 2.558
Cd 0.000 2.558 0.000
Cd 2.558 0.000 0.000
O 2.558 2.558 2.558
Rh 0.000 0.000 0.000
```

***

Here is a relaxed structure of Cd2Rh2O7 from the Alexandria database. Energies are from GGA-PBE.

Calculated values
**E_form (uncorrected)**: -0.769 eV per atom
**Calculated volume**: 12.15 Å³/atom

Structure (extended XYZ):
```
22
Lattice="6.262 0.000 3.616 2.087 5.904 3.616 0.000 0.000 7.231" Properties=species:S:1:pos:R:3 pbc="T T T"
Rh 1.044 0.738 5.423
O 5.424 1.186 5.068
O 1.249 2.662 2.163
Rh 2.087 3.690 3.616
O 4.175 2.952 7.231
O 2.926 4.718 9.394
Cd 5.219 3.690 9.039
O 5.424 1.186 9.394
O 2.926 0.290 5.068
Rh 1.044 0.738 1.808
Cd 4.175 0.738 7.231
O 6.262 4.428 10.847
Rh 4.175 0.738 3.616
O 1.249 2.662 5.068
O 0.410 0.290 3.616
Cd 2.087 3.690 7.231
O 2.926 0.290 2.163
Cd 5.219 3.690 5.423
O 3.765 2.662 3.616
O 1.677 1.186 7.231
O 6.673 4.718 7.231
O 2.926 4.718 5.068
```

***

Here is a relaxed structure of CdRh3O from the Alexandria database. Energies are from GGA-PBE.

Calculated values
**Polymorph energy (0 for the lowest one)**: 0 meV per atom
**E_form (uncorrected)**: 0.036 eV per atom
**Calculated volume**: 14.50 Å³/atom

Structure (extended XYZ):
```
5
Lattice="-2.521 -1.875 -2.742 2.396 -3.411 0.129 -2.300 -1.497 3.139" Properties=species:S:1:pos:R:3 pbc="T T T"
Rh 1.198 -1.705 0.065
Rh -1.150 -0.749 1.570
Cd -1.213 -3.391 0.263
Rh -1.261 -0.937 -1.371
O 0.000 0.000 0.000
```

***

Here is a relaxed structure of CdRhO2 from the Alexandria database. Energies are from GGA-PBE.

Calculated values
**E_form (uncorrected)**: -0.333 eV per atom
**Calculated volume**: 14.79 Å³/atom

Structure (extended XYZ):
```
8
Lattice="-0.170 4.273 1.278 -3.770 -0.821 2.244 1.201 0.404 6.605" Properties=species:S:1:pos:R:3 pbc="T T T"
O -0.760 1.558 6.383
>>>

1 comment:

  1. So what's the Darwinian explanation for the war in Syria? And how does that cohere with a theory of moral evolution?
